_Given_
'''
Entry 1:
Eu2ZrSnO6: relaxed, PBE-GGA.

Values from the calculation:
- total moment (μB/cell) = 14.0
- space group = Fm-3m
- DFT formation energy (meV/atom) = -3066
- energy with MP2020 corrections (eV per atom) = -9.342
- total DFT energy (no corrections) (eV per atom) = -8.930

Unit cell a=5.8660 b=5.8660 c=5.8660 alpha=60.00 beta=60.00 gamma=60.00
With the nearest neighbours (Å) after each atom.
Sites, in units of the cell vectors:
Eu 0.2500 0.2500 0.2500  12 O 2.93
Eu 0.7500 0.7500 0.7500  12 O 2.93
Zr 0.0000 0.0000 0.0000  6 O 2.09
Sn 0.5000 0.5000 0.5000  6 O 2.06
O 0.2520 0.2520 0.7480  1 Sn 2.06, 1 Zr 2.09
O 0.2520 0.7480 0.2520  1 Sn 2.06, 1 Zr 2.09
O 0.2520 0.7480 0.7480  1 Sn 2.06, 1 Zr 2.09
O 0.7480 0.2520 0.2520  1 Sn 2.06, 1 Zr 2.09
O 0.7480 0.2520 0.7480  1 Sn 2.06, 1 Zr 2.09
O 0.7480 0.7480 0.2520  1 Sn 2.06, 1 Zr 2.09

=====

Entry 2:
SrEuO3: relaxed, PBE-GGA.

Values from the calculation:
- total moment (μB/cell) = 5.0
- space group = Pm-3m
- DFT formation energy (meV/atom) = -2686
- energy with MP2020 corrections (eV per atom) = -8.044
- total DFT energy (no corrections) (eV per atom) = -7.632

Unit cell a=4.3836 b=4.3836 c=4.3836 alpha=90.00 beta=90.00 gamma=90.00
With the nearest neighbours (Å) after each atom.
Sites, in units of the cell vectors:
Sr 0.0000 0.0000 0.0000  12 O 3.10
Eu 0.5000 0.5000 0.5000  6 O 2.19
O 0.0000 0.5000 0.5000  2 Eu 2.19
O 0.5000 0.0000 0.5000  2 Eu 2.19
O 0.5000 0.5000 0.0000  2 Eu 2.19

=====

Entry 3:
SrEuO2: relaxed, PBE-GGA.

Values from the calculation:
- space group = R-3m
- DFT formation energy (meV/atom) = -3090
- energy with MP2020 corrections (eV per atom) = -8.551
- total DFT energy (no corrections) (eV per atom) = -8.207

Unit cell a=6.3249 b=6.3249 c=6.3249 alpha=33.41 beta=33.41 gamma=33.41
With the nearest neighbours (Å) after each atom.
Sites, in units of the cell vectors:
Sr 0.0000 0.0000 0.0000  6 O 2.60
Eu 0.5000 0.5000 0.5000  6 O 2.55
O 0.2479 0.2479 0.2479  3 Eu 2.55, 3 Sr 2.60
O 0.7521 0.7521 0.7521  3 Eu 2.55, 3 Sr 2.60

=====

Entry 4:
SrEuZrTiO6: relaxed, PBE-GGA.

Values from the calculation:
- total moment (μB/cell) = 7.0
- space group = F-43m
- DFT formation energy (meV/atom) = -3559
- energy with MP2020 corrections (eV per atom) = -9.367
- total DFT energy (no corrections) (eV per atom) = -8.954

Unit cell a=5.7792 b=5.7792 c=5.7792 alpha=60.00 beta=60.00 gamma=60.00
With the nearest neighbours (Å) after each atom.
Sites, in units of the cell vectors:
Sr 0.0000 0.0000 0.0000  12 O 2.89
Eu 0.5000 0.5000 0.5000  12 O 2.89
Zr 0.7500 0.7500 0.7500  6 O 2.10
Ti 0.2500 0.2500 0.2500  6 O 1.98
O 0.0075 0.0075 0.4925  1 Ti 1.98, 1 Zr 2.10
O 0.0075 0.4925 0.0075  1 Ti 1.98, 1 Zr 2.10
O 0.0075 0.4925 0.4925  1 Ti 1.98, 1 Zr 2.10
O 0.4925 0.0075 0.0075  1 Ti 1.98, 1 Zr 2.10
O 0.4925 0.0075 0.4925  1 Ti 1.98, 1 Zr 2.10
O 0.4925 0.4925 0.0075  1 Ti 1.98, 1 Zr 2.10

=====

Entry 5:
Eu3TaO7: relaxed, PBE-GGA.

Values from the calculation:
- total moment (μB/cell) = 36.0
- space group = C222_1
- DFT formation energy (meV/atom) = -3321
- energy with MP2020 corrections (eV per atom) = -10.345
- total DFT energy (no corrections) (eV per atom) = -9.908

Unit cell a=6.6162 b=6.6162 c=7.7178 alpha=90.00 beta=90.00 gamma=110.10
With the nearest neighbours (Å) after each atom.
Sites, in units of the cell vectors:
Eu 0.0082 0.0082 0.0000  6 O 2.38-2.59
Eu 0.0304 0.4973 0.2517  6 O 2.27-2.50
Eu 0.4973 0.0304 0.7483  6 O 2.27-2.50
Eu 0.5027 0.9696 0.2483  6 O 2.27-2.50
Eu 0.9696 0.5027 0.7517  6 O 2.27-2.50
Eu 0.9918 0.9918 0.5000  6 O 2.38-2.59
Ta 0.5000 0.5000 0.0000  6 O 1.98-2.02
Ta 0.5000 0.5000 0.5000  6 O 1.98-2.02
O 0.1278 0.8722 0.7500  4 Eu 2.30-2.38
O 0.1379 0.8621 0.2500  4 Eu 2.27-2.44
O 0.1785 0.4232 0.9733  1 Ta 2.02
O 0.1870 0.4361 0.5326  1 Ta 1.98
O 0.4232 0.1785 0.0267  1 Ta 2.02
O 0.4361 0.1870 0.4674  1 Ta 1.98
O 0.4453 0.5547 0.2500  2 Ta 2.02
O 0.5547 0.4453 0.7500  2 Ta 2.02
O 0.5639 0.8131 0.9674  1 Ta 1.98
O 0.5768 0.8215 0.5267  1 Ta 2.02
'''
_Work order_
Duplicate everything further above unchanged, please.
_Result_
Entry 1:
Eu2ZrSnO6: relaxed, PBE-GGA.

Values from the calculation:
- total moment (μB/cell) = 14.0
- space group = Fm-3m
- DFT formation energy (meV/atom) = -3066
- energy with MP2020 corrections (eV per atom) = -9.342
- total DFT energy (no corrections) (eV per atom) = -8.930

Unit cell a=5.8660 b=5.8660 c=5.8660 alpha=60.00 beta=60.00 gamma=60.00
With the nearest neighbours (Å) after each atom.
Sites, in units of the cell vectors:
Eu 0.2500 0.2500 0.2500  12 O 2.93
Eu 0.7500 0.7500 0.7500  12 O 2.93
Zr 0.0000 0.0000 0.0000  6 O 2.09
Sn 0.5000 0.5000 0.5000  6 O 2.06
O 0.2520 0.2520 0.7480  1 Sn 2.06, 1 Zr 2.09
O 0.2520 0.7480 0.2520  1 Sn 2.06, 1 Zr 2.09
O 0.2520 0.7480 0.7480  1 Sn 2.06, 1 Zr 2.09
O 0.7480 0.2520 0.2520  1 Sn 2.06, 1 Zr 2.09
O 0.7480 0.2520 0.7480  1 Sn 2.06, 1 Zr 2.09
O 0.7480 0.7480 0.2520  1 Sn 2.06, 1 Zr 2.09

=====

Entry 2:
SrEuO3: relaxed, PBE-GGA.

Values from the calculation:
- total moment (μB/cell) = 5.0
- space group = Pm-3m
- DFT formation energy (meV/atom) = -2686
- energy with MP2020 corrections (eV per atom) = -8.044
- total DFT energy (no corrections) (eV per atom) = -7.632

Unit cell a=4.3836 b=4.3836 c=4.3836 alpha=90.00 beta=90.00 gamma=90.00
With the nearest neighbours (Å) after each atom.
Sites, in units of the cell vectors:
Sr 0.0000 0.0000 0.0000  12 O 3.10
Eu 0.5000 0.5000 0.5000  6 O 2.19
O 0.0000 0.5000 0.5000  2 Eu 2.19
O 0.5000 0.0000 0.5000  2 Eu 2.19
O 0.5000 0.5000 0.0000  2 Eu 2.19

=====

Entry 3:
SrEuO2: relaxed, PBE-GGA.

Values from the calculation:
- space group = R-3m
- DFT formation energy (meV/atom) = -3090
- energy with MP2020 corrections (eV per atom) = -8.551
- total DFT energy (no corrections) (eV per atom) = -8.207

Unit cell a=6.3249 b=6.3249 c=6.3249 alpha=33.41 beta=33.41 gamma=33.41
With the nearest neighbours (Å) after each atom.
Sites, in units of the cell vectors:
Sr 0.0000 0.0000 0.0000  6 O 2.60
Eu 0.5000 0.5000 0.5000  6 O 2.55
O 0.2479 0.2479 0.2479  3 Eu 2.55, 3 Sr 2.60
O 0.7521 0.7521 0.7521  3 Eu 2.55, 3 Sr 2.60

=====

Entry 4:
SrEuZrTiO6: relaxed, PBE-GGA.

Values from the calculation:
- total moment (μB/cell) = 7.0
- space group = F-43m
- DFT formation energy (meV/atom) = -3559
- energy with MP2020 corrections (eV per atom) = -9.367
- total DFT energy (no corrections) (eV per atom) = -8.954

Unit cell a=5.7792 b=5.7792 c=5.7792 alpha=60.00 beta=60.00 gamma=60.00
With the nearest neighbours (Å) after each atom.
Sites, in units of the cell vectors:
Sr 0.0000 0.0000 0.0000  12 O 2.89
Eu 0.5000 0.5000 0.5000  12 O 2.89
Zr 0.7500 0.7500 0.7500  6 O 2.10
Ti 0.2500 0.2500 0.2500  6 O 1.98
O 0.0075 0.0075 0.4925  1 Ti 1.98, 1 Zr 2.10
O 0.0075 0.4925 0.0075  1 Ti 1.98, 1 Zr 2.10
O 0.0075 0.4925 0.4925  1 Ti 1.98, 1 Zr 2.10
O 0.4925 0.0075 0.0075  1 Ti 1.98, 1 Zr 2.10
O 0.4925 0.0075 0.4925  1 Ti 1.98, 1 Zr 2.10
O 0.4925 0.4925 0.0075  1 Ti 1.98, 1 Zr 2.10

=====

Entry 5:
Eu3TaO7: relaxed, PBE-GGA.

Values from the calculation:
- total moment (μB/cell) = 36.0
- space group = C222_1
- DFT formation energy (meV/atom) = -3321
- energy with MP2020 corrections (eV per atom) = -10.345
- total DFT energy (no corrections) (eV per atom) = -9.908

Unit cell a=6.6162 b=6.6162 c=7.7178 alpha=90.00 beta=90.00 gamma=110.10
With the nearest neighbours (Å) after each atom.
Sites, in units of the cell vectors:
Eu 0.0082 0.0082 0.0000  6 O 2.38-2.59
Eu 0.0304 0.4973 0.2517  6 O 2.27-2.50
Eu 0.4973 0.0304 0.7483  6 O 2.27-2.50
Eu 0.5027 0.9696 0.2483  6 O 2.27-2.50
Eu 0.9696 0.5027 0.7517  6 O 2.27-2.50
Eu 0.9918 0.9918 0.5000  6 O 2.38-2.59
Ta 0.5000 0.5000 0.0000  6 O 1.98-2.02
Ta 0.5000 0.5000 0.5000  6 O 1.98-2.02
O 0.1278 0.8722 0.7500  4 Eu 2.30-2.38
O 0.1379 0.8621 0.2500  4 Eu 2.27-2.44
O 0.1785 0.4232 0.9733  1 Ta 2.02
O 0.1870 0.4361 0.5326  1 Ta 1.98
O 0.4232 0.1785 0.0267  1 Ta 2.02
O 0.4361 0.1870 0.4674  1 Ta 1.98
O 0.4453 0.5547 0.2500  2 Ta 2.02
O 0.5547 0.4453 0.7500  2 Ta 2.02
O 0.5639 0.8131 0.9674  1 Ta 1.98
O 0.5768 0.8215 0.5267  1 Ta 2.02